The reader should reproduce the whole of the lines further down unchanged.
~~~
Here is a relaxed Sc2Zn3Co crystal from the Alexandria database. Energies are from PBE.

Properties
total magnetization: 0.6 μB/f.u.
total energy: -25.506 eV/f.u.

Unit cell a=5.1311 b=5.1311 c=5.1590 alpha=119.96 beta=119.96 gamma=59.74
Fractional coordinates of all 6 atoms:
Sc  0.1269  0.1269  0.3810
Sc  0.8731  0.8731  0.6190
Zn  0.0000  0.5000  0.0000
Zn  0.5000  0.0000  0.0000
Zn  0.5000  0.5000  0.0000
Co  0.5000  0.5000  0.5000

***

Here is a relaxed ScZn4Co crystal from the Alexandria database. Energies are from PBE.

Properties
total magnetization: 0.0 μB/f.u.
total energy: -19.694 eV/f.u.
distance to the lowest polymorph of the same formula: 13.7 meV/atom

Unit cell a=4.9846 b=4.9846 c=4.9846 alpha=60.00 beta=60.00 gamma=60.00
Fractional coordinates of all 6 atoms:
Sc  0.0000  0.0000  0.0000
Zn  0.3758  0.3758  0.3758
Zn  0.3758  0.3758  0.8727
Zn  0.3758  0.8727  0.3758
Zn  0.8727  0.3758  0.3758
Co  0.7500  0.7500  0.7500

***

Here is a relaxed Sc4ZnCo3 crystal from the Alexandria database. Energies are from PBE.

Properties
total magnetization: 0.9 μB/f.u.
total energy: -50.630 eV/f.u.

Unit cell a=4.4767 b=4.4767 c=6.4303 alpha=90.00 beta=90.00 gamma=90.00
Fractional coordinates of all 8 atoms:
Sc  0.0000  0.5000  0.2400
Sc  0.0000  0.5000  0.7600
Sc  0.5000  0.0000  0.2400
Sc  0.5000  0.0000  0.7600
Zn  0.0000  0.0000  0.5000
Co  0.0000  0.0000  0.0000
Co  0.5000  0.5000  0.0000
Co  0.5000  0.5000  0.5000

***

Here is a relaxed Sc5Zn12Co2 crystal from the Alexandria database. Energies are from PBE.

Properties
total magnetization: 0.0 μB/f.u.
total energy: -64.841 eV/f.u.

Unit cell a=7.1717 b=7.1717 c=6.9725 alpha=92.35 beta=92.35 gamma=62.46
Fractional coordinates of all 19 atoms:
Sc  0.0000  0.0000  0.0000
Sc  0.2801  0.2801  0.0194
Sc  0.3248  0.3248  0.4948
Sc  0.6752  0.6752  0.5052
Sc  0.7199  0.7199  0.9806
Zn  0.0500  0.6696  0.2468
Zn  0.0890  0.0890  0.4399
Zn  0.0902  0.6225  0.7808
Zn  0.3304  0.9500  0.7532
Zn  0.3775  0.9098  0.2192
Zn  0.4982  0.4982  0.8028
Zn  0.5018  0.5018  0.1972
Zn  0.6225  0.0902  0.7808
Zn  0.6696  0.0500  0.2468
Zn  0.9098  0.3775  0.2192
Zn  0.9110  0.9110  0.5601
Zn  0.9500  0.3304  0.7532
Co  0.3043  0.6957  0.5000
Co  0.6957  0.3043  0.5000

***

Here is a relaxed Sc6ZnCo5 crystal from the Alexandria database. Energies are from PBE.

Properties
total magnetization: 1.2 μB/f.u.
total energy: -78.913 eV/f.u.

Unit cell a=7.7380 b=7.7380 c=7.7380 alpha=146.49 beta=131.68 gamma=60.08
Fractional coordinates of all 12 atoms:
Sc  0.0743  0.3291  0.7451
Sc  0.2390  0.0000  0.2390
Sc  0.4160  0.6709  0.7451
Sc  0.5840  0.3291  0.2549
Sc  0.7610  0.0000  0.7610
Sc  0.9257  0.6709  0.2549
Zn  0.5000  0.5000  0.0000
Co  0.0000  0.5000  0.5000
Co  0.1662  0.1662  0.0000
Co  0.3348  0.8348  0.5000
Co  0.6652  0.1652  0.5000
Co  0.8338  0.8338  0.0000

***

Here is a relaxed Sc2ZnCo2 crystal from the Alexandria database. Energies are from PBE.

Properties
total magnetization: 0.8 μB/f.u.
total energy: -29.628 eV/f.u.

Unit cell a=6.5155 b=6.5155 c=3.7191 alpha=90.00 beta=90.00 gamma=90.00
Fractional coordinates of all 10 atoms:
Sc  0.1767  0.3233  0.0000
Sc  0.3233  0.8233  0.0000
Sc  0.6767  0.1767  0.0000
Sc  0.8233  0.6767  0.0000
Zn  0.0000  0.0000  0.5000
Zn  0.5000  0.5000  0.5000
Co  0.1248  0.6248  0.5000
Co  0.3752  0.1248  0.5000
Co  0.6248  0.8752  0.5000
Co  0.8752  0.3752  0.5000

***

Here is a relaxed ScZnCo3 crystal from the Alexandria database. Energies are from PBE.

Properties
total magnetization: 2.1 μB/f.u.
total energy: -22.548 eV/f.u.
distance to the lowest polymorph of the same formula: 575.7 meV/atom

Unit cell a=4.3754 b=4.3754 c=4.3754 alpha=90.00 beta=90.00 gamma=90.00
Fractional coordinates of all 5 atoms:
Sc  0.0000  0.0000  0.0000
Zn  0.5000  0.5000  0.5000
Co  0.0000  0.0000  0.5000
Co  0.0000  0.5000  0.0000
Co  0.5000  0.0000  0.0000

***

Here is a relaxed Sc5Zn4Co crystal from the Alexandria database. Energies are from PBE.

Properties
~~~
Here is a relaxed Sc2Zn3Co crystal from the Alexandria database. Energies are from PBE.

Properties
total magnetization: 0.6 μB/f.u.
total energy: -25.506 eV/f.u.

Unit cell a=5.1311 b=5.1311 c=5.1590 alpha=119.96 beta=119.96 gamma=59.74
Fractional coordinates of all 6 atoms:
Sc  0.1269  0.1269  0.3810
Sc  0.8731  0.8731  0.6190
Zn  0.0000  0.5000  0.0000
Zn  0.5000  0.0000  0.0000
Zn  0.5000  0.5000  0.0000
Co  0.5000  0.5000  0.5000

***

Here is a relaxed ScZn4Co crystal from the Alexandria database. Energies are from PBE.

Properties
total magnetization: 0.0 μB/f.u.
total energy: -19.694 eV/f.u.
distance to the lowest polymorph of the same formula: 13.7 meV/atom

Unit cell a=4.9846 b=4.9846 c=4.9846 alpha=60.00 beta=60.00 gamma=60.00
Fractional coordinates of all 6 atoms:
Sc  0.0000  0.0000  0.0000
Zn  0.3758  0.3758  0.3758
Zn  0.3758  0.3758  0.8727
Zn  0.3758  0.8727  0.3758
Zn  0.8727  0.3758  0.3758
Co  0.7500  0.7500  0.7500

***

Here is a relaxed Sc4ZnCo3 crystal from the Alexandria database. Energies are from PBE.

Properties
total magnetization: 0.9 μB/f.u.
total energy: -50.630 eV/f.u.

Unit cell a=4.4767 b=4.4767 c=6.4303 alpha=90.00 beta=90.00 gamma=90.00
Fractional coordinates of all 8 atoms:
Sc  0.0000  0.5000  0.2400
Sc  0.0000  0.5000  0.7600
Sc  0.5000  0.0000  0.2400
Sc  0.5000  0.0000  0.7600
Zn  0.0000  0.0000  0.5000
Co  0.0000  0.0000  0.0000
Co  0.5000  0.5000  0.0000
Co  0.5000  0.5000  0.5000

***

Here is a relaxed Sc5Zn12Co2 crystal from the Alexandria database. Energies are from PBE.

Properties
total magnetization: 0.0 μB/f.u.
total energy: -64.841 eV/f.u.

Unit cell a=7.1717 b=7.1717 c=6.9725 alpha=92.35 beta=92.35 gamma=62.46
Fractional coordinates of all 19 atoms:
Sc  0.0000  0.0000  0.0000
Sc  0.2801  0.2801  0.0194
Sc  0.3248  0.3248  0.4948
Sc  0.6752  0.6752  0.5052
Sc  0.7199  0.7199  0.9806
Zn  0.0500  0.6696  0.2468
Zn  0.0890  0.0890  0.4399
Zn  0.0902  0.6225  0.7808
Zn  0.3304  0.9500  0.7532
Zn  0.3775  0.9098  0.2192
Zn  0.4982  0.4982  0.8028
Zn  0.5018  0.5018  0.1972
Zn  0.6225  0.0902  0.7808
Zn  0.6696  0.0500  0.2468
Zn  0.9098  0.3775  0.2192
Zn  0.9110  0.9110  0.5601
Zn  0.9500  0.3304  0.7532
Co  0.3043  0.6957  0.5000
Co  0.6957  0.3043  0.5000

***

Here is a relaxed Sc6ZnCo5 crystal from the Alexandria database. Energies are from PBE.

Properties
total magnetization: 1.2 μB/f.u.
total energy: -78.913 eV/f.u.

Unit cell a=7.7380 b=7.7380 c=7.7380 alpha=146.49 beta=131.68 gamma=60.08
Fractional coordinates of all 12 atoms:
Sc  0.0743  0.3291  0.7451
Sc  0.2390  0.0000  0.2390
Sc  0.4160  0.6709  0.7451
Sc  0.5840  0.3291  0.2549
Sc  0.7610  0.0000  0.7610
Sc  0.9257  0.6709  0.2549
Zn  0.5000  0.5000  0.0000
Co  0.0000  0.5000  0.5000
Co  0.1662  0.1662  0.0000
Co  0.3348  0.8348  0.5000
Co  0.6652  0.1652  0.5000
Co  0.8338  0.8338  0.0000

***

Here is a relaxed Sc2ZnCo2 crystal from the Alexandria database. Energies are from PBE.

Properties
total magnetization: 0.8 μB/f.u.
total energy: -29.628 eV/f.u.

Unit cell a=6.5155 b=6.5155 c=3.7191 alpha=90.00 beta=90.00 gamma=90.00
Fractional coordinates of all 10 atoms:
Sc  0.1767  0.3233  0.0000
Sc  0.3233  0.8233  0.0000
Sc  0.6767  0.1767  0.0000
Sc  0.8233  0.6767  0.0000
Zn  0.0000  0.0000  0.5000
Zn  0.5000  0.5000  0.5000
Co  0.1248  0.6248  0.5000
Co  0.3752  0.1248  0.5000
Co  0.6248  0.8752  0.5000
Co  0.8752  0.3752  0.5000

***

Here is a relaxed ScZnCo3 crystal from the Alexandria database. Energies are from PBE.

Properties
total magnetization: 2.1 μB/f.u.
total energy: -22.548 eV/f.u.
distance to the lowest polymorph of the same formula: 575.7 meV/atom

Unit cell a=4.3754 b=4.3754 c=4.3754 alpha=90.00 beta=90.00 gamma=90.00
Fractional coordinates of all 5 atoms:
Sc  0.0000  0.0000  0.0000
Zn  0.5000  0.5000  0.5000
Co  0.0000  0.0000  0.5000
Co  0.0000  0.5000  0.0000
Co  0.5000  0.0000  0.0000

***

Here is a relaxed Sc5Zn4Co crystal from the Alexandria database. Energies are from PBE.

Properties